Still alive, thanks so much to everyone for your replies and merits. Good advices given that will help me get through this.
You don't fully realise the seriousness of COVID-19 until you get it. I still don't actually know if what I have is COVID-19, but symptoms point to that direction... Should do a test to find out. Until now I'm confined at home with zero contact with others.
Now on day 4 from onset of symptoms. By day 5-6, and if things get serious, I should be getting shortness of breath, at which point I should be admitted to hospital. If this does not happen, then it may be possible to fight this at home on my own. I hope so.
Sounds like covid. Hate to say this, but I believe in facing reality: Make sure someone has access to your coins. Reason being I have had two people in December die of COVID. Both felt terrible, went to hospital, felt much better in 2 days, talked to me on the phone about how it really sucked, it wasn't the flu and holy fuck what a nightmare including the shits. The next morning both were dead. They go fast after getting "better".
Please take care of yourself and watch this carefully. I hate seeing people die of this completely preventable shit.
-- Attached: data records --
+++
[1]
80
Properties=species:S:1:pos:R:3:lowdin_spin:R:1 method="wB97M-V/def2-TZVPD" gap_ha="0.25409 / 0.27853" multiplicity=3 lumo_energy_ha="-0.12123 / -0.11978" charge=+1
Ti -0.430 -0.502 -1.910 1.79
N -2.530 -1.885 -4.038 0.01
C -1.723 -2.769 -3.376 0.01
C -2.223 -3.898 -2.750 0.01
C -1.375 -4.885 -2.241 0.00
C -0.011 -4.810 -2.392 0.01
C 0.540 -3.671 -3.000 0.00
C 1.921 -3.522 -3.271 0.01
C 2.391 -2.380 -3.849 0.00
C 1.497 -1.320 -4.070 0.01
N 0.200 -1.408 -3.864 0.01
C -0.306 -2.608 -3.412 0.00
H -3.485 -1.802 -3.734 0.00
H -2.119 -1.034 -4.382 0.00
H -3.295 -4.035 -2.688 0.00
H -1.820 -5.750 -1.766 0.00
H 0.636 -5.616 -2.073 0.00
H 2.591 -4.335 -3.018 0.00
H 3.439 -2.251 -4.078 0.00
H 1.868 -0.354 -4.395 0.00
F -2.691 0.086 2.561 0.00
C -1.952 -0.901 2.084 0.00
F -0.703 -0.463 1.909 0.00
F -1.934 -1.912 2.940 0.00
S -2.645 -1.515 0.453 0.00
O -1.424 -1.730 -0.353 0.02
O -3.447 -2.647 0.737 0.00
N -3.500 -0.308 -0.106 0.00
S -2.729 0.771 -0.936 0.01
O -2.570 0.414 -2.344 0.03
O -1.472 1.213 -0.346 0.01
C -3.902 2.188 -0.896 0.00
F -4.097 2.565 0.355 0.00
F -3.342 3.173 -1.586 0.00
F -5.046 1.837 -1.453 0.00
C 3.358 -2.479 1.843 0.00
N 2.821 -1.839 0.650 0.00
C 1.584 -1.887 0.168 0.01
N 1.468 -1.048 -0.855 0.02
C 2.715 -0.503 -0.947 0.01
N 3.557 -0.946 -0.051 0.00
C 2.787 -1.891 3.117 0.00
C 2.936 -2.590 4.312 0.00
C 2.397 -2.088 5.486 0.00
C 1.681 -0.901 5.481 0.00
C 1.531 -0.203 4.289 0.00
C 2.102 -0.690 3.116 0.00
C 0.694 0.993 4.235 0.00
N -0.187 1.397 5.083 0.00
N -0.796 2.511 4.516 0.00
C -0.236 2.688 3.373 0.00
O 0.731 1.767 3.122 0.00
C -0.546 3.661 2.328 0.00
C -1.736 4.381 2.369 0.00
C -2.049 5.241 1.330 0.00
C -1.195 5.371 0.241 0.00
C -0.001 4.664 0.206 0.00
C 0.914 4.721 -0.991 0.00
N 0.728 3.535 -1.835 0.00
C 0.987 2.273 -1.530 0.01
N 0.521 1.469 -2.478 0.01
C -0.046 2.343 -3.362 0.01
N 0.056 3.598 -3.007 0.00
C 0.328 3.827 1.262 0.00
H 4.437 -2.347 1.790 0.00
H 3.140 -3.545 1.790 0.00
H 0.800 -2.510 0.568 0.00
H 2.994 0.218 -1.697 0.00
H 3.466 -3.535 4.324 0.00
H 2.519 -2.638 6.409 0.00
H 1.226 -0.517 6.383 0.00
H 1.973 -0.126 2.201 0.00
H -2.405 4.251 3.209 0.00
H -2.972 5.804 1.357 0.00
H -1.459 6.023 -0.582 0.00
H 1.959 4.751 -0.683 0.00
H 0.709 5.578 -1.627 0.00
H 1.471 1.958 -0.621 0.00
H -0.539 2.039 -4.271 0.00
H 1.268 3.288 1.264 0.00

---

[2]
14
Properties=species:S:1:pos:R:3:nbo_charge:R:1 method="wB97M-V/def2-TZVPD" gap_ha="0.36109 / 0.17835" multiplicity=2 lumo_energy_ha="-0.12457 / -0.30700" charge=+1
C 0.326 -2.271 -0.043 -0.48
+++
I appreciate the post, although it's scary as hell. As I said, you don't fully appreciate the seriousness of the situation until it happens to you. My advice to all is to not get close to people not wearing masks or wearing them improperly. If the situation is such that there is pressure on you to talk or interact with them, just say NO. You may be wearing your mask and everything (as I was), but the issue is not you, it's the ones you come in contact with! So, stay SAFE, take it VERY seriously, and REFUSE to get close to those without proper protection.
On topic, I see we passed the 27k € ($34k) mark, which is just AWESOME! I saw one big but very brief dip, which was quickly absorbed by the buying pressure. It seems that any corrections (big or small) are quickly counteracted by pumps that bring the price back to its "slow" upward course. If we keep going like this, $100k should easily be reached in 2021. Actually, predictions talk about as high as $400k, but for me $100k as a correction-stabilized price for 2021 is more than satisfactory. I'm sure many of us WOers' lives will change when this happens.
Onwards & upwards!
HoDL#humbled #blessed #sickpuppy
Let me give you another anecdotal story. I got it in May, from my brother.
His wife also got it, and they both got it from a friend at a dinner party.
We all had the same symptoms, first headache and fever (28-29 degrees) for two weeks and then about a week of slow recovery and then normal recovery, somewhere in the middle we lost the sense of smell for about a week, we also had a cough but not too bad.
No one died or got seriously ill, and nobody I know have died from it. So it's not always that bad.
I took 10 000 IE of vitamin D3 and 25 mg of zink daily during my sickness and stopped taking amlodipin since there were reports of that med making it harder to breath in some cases.
I had no shortness of breath whatsoever though.
After the covid I actually felt better then before, I had had a bad cough for a long time, probably related to my arthritis, that disappeared after my covid, I also have a lot less problems with my arthritis, it's like it somehow rebooted my immune system. I did get some weird neurological problems, for example a sensation in my left ear, like a bug was crawling in there, it's all gone now.
So, it doesn't have to be all bad, I hope you get a mild version and get better soon.